All Stories

  1. Career assessment: Integrating interests, abilities, and personality.
  2. Spatial abilities.
  3. Mechanical and physical abilities.
  4. Artistic and creative abilities.
  5. Managerial and leadership abilities.
  6. Perceptual, computational, and other abilities.
  7. Defining and contextualizing vocational interests.
  8. Social abilities: Social and emotional intelligence.
  9. Other career-relevant personality characteristics.
  10. The five-factor model of personality.
  11. Applications: Case illustrations of personality profiles.
  12. Career-related abilities: Conceptual issues and general intelligence.
  13. Relationships across interest, ability, and personality domains.
  14. Conceptual and measurement issues of career-related personality.
  15. Client feedback and report preparation.
  16. Ethical/legal and technological issues.
  17. Scope of career assessment work.
  18. Case illustrations of ability profiles.
  19. The “Big Six” RIASEC interest types.
  20. Clinical Psychology, Meet Consulting Psychology
  21. Introduction: The interdomain model of career assessment.
  22. The efficacy of executive coaching: An empirical investigation of two approaches using random assignment and a switching-replications design.
  23. Comparing implicit and explicit attitudes of gay, straight, and non-monosexual groups toward transmen and transwomen
  24. Learning how to be Ethical in Consulting Psychology Practice
  25. How organizational and business ethics affect consulting psychology practice.
  26. Emerging ethical issues and challenges.
  27. Ethical issues at the group level.
  28. Ethical issues at the organizational level.
  29. Ethical issues at the individual level.
  30. Toward more complex ethical models: Unfinished business.
  31. Introduction.
  32. Ethics of Employee Selection
  33. Development of gender identity implicit association tests to assess attitudes toward transmen and transwomen.
  34. A Process of Coaching
  35. The Psychologist as Managerial Coach
  36. Learn All About Consulting Psychology
  37. A practice analysis of coaching psychology: Toward a foundational competency model.
  38. Risking Your Job
  39. Introduction to Sport Psychology Consulting: Working with Coaches and Teams
  40. Reforming American Multiculturalism to Reflect Global Realities
  41. Introduction to special issue, the future of consulting psychology and consulting psychology research.
  42. The next big thing for the Consulting Psychology Journal: Practice and research.
  43. What have we learned? Where are we headed?
  44. Habit Forming, Habit Changing
  45. How Can Managers and Leaders Create Organizational Trust?
  46. Frontier no more: International consulting skills as necessary minimal competencies for consulting psychologists.
  47. Harry Levinson (1922–2012).
  48. The scientist-practitioner consulting psychologist.
  49. Issues in integrating interests, abilities, and personality
  50. EAP utilization patterns and employee absenteeism: Results of an empirical, 3-year longitudinal study in a national Canadian retail corporation.
  51. Guidelines for case study submissions to Consulting Psychology Journal: Practice and Research.
  52. Narrative Career Counseling
  53. Interest, ability and personality characteristics of two samples of employed realistic males: Implications for management and assessment.
  54. Leading the 21st-century college and university: Managing multiple missions and conflicts of interest in higher education.
  55. Handy, If Not Exactly a Handbook
  56. Carl F. Frost (1914-2009).
  57. Policies and guidelines for Special Issues and Special Sections in Consulting Psychology Journal: Practice and Research.
  58. Reforming the Military in Troubled Times
  59. Editorial policy of the Consulting Psychology Journal: Practice and Research.
  60. Coaching and consulting in multicultural contexts: Integrating themes and issues.
  61. Pragmatic Job-Finding Guidance for Executives and Professionals
  62. Ethics Applied to Organizatoinal and Consulting Psychology
  63. Will Transformational Leadership Transform?
  64. Professional and Scientific Responsibility
  65. Respect for People's Rights and Dignity
  66. Executive Coaching: The Road to Dodoville Needs Paving With More Than Good Assumptions.
  67. Who Do You Trust?
  68. Forensic Challenges for Managers.
  69. Importance of Diagnosis in Organizational Assessment: Harry Levinson's Contributions.
  70. History and political process of professional training and practice guideline promulgation and approval.
  71. Principles for education and training at the doctoral and postdoctoral level in consulting psychology/organizational.
  72. Constructing a literature from case studies: Promise and limitations of the method.
  73. Transforming crises into opportunities.
  74. My last “last page”.
  75. Psychologist-entrepreneurs: Channeling creative and oppositional energy.
  76. Paradigm, shift!
  77. Hail and farewell in the society of achievement.
  78. Leading Wisely and Well: Psychologist-presidents at work.
  79. A sense of place.
  80. The “practice” of management.
  81. Consulting to organizations as if the individual mattered.
  82. New directions for graduate training in consulting psychology.
  83. The ethical practice of psychology in organizations.
  84. The fine art of managing subtly.
  85. The blind visionary and the sighted blind.
  86. Preventative management: Antecedent conditions for successful academic management.
  87. The academic department head’s role: Special section introduction.
  88. Career Assessment and Psychological Impairment: Integrating Inter-Domain and Work Dysfunctions Theory
  89. Editorial policy of The Psychologist-Manager Journal.
  90. What is a SPIM manager?
  91. Is any world safe for creativity?
  92. The mental health professional's guide to managed care.
  93. Mental health claims experience: Analysis and benefit redesign.
  94. Managed mental health care: Critical issues and next directions.
  95. Dr. Lowman replies
  96. Malpractice of What and by Whom? Will the Real Straw Theory Please Stand Up?
  97. The Inter-Domain Model of Career Assessment and Counseling
  98. Why Work Matters in Counseling and Coaching and How to Treat Work Issues
  99. Color Vision Deficits and Rorschach Performance in Aged Persons
  100. Managing mental health care wisely: More is not necessarily better.
  101. How to Use Interests, Abilities, and Personality to Help Clients Find Well-Fitting Careers
  102. Introduction to special section on managed mental health care.
  103. Mental health claims experience: Analysis and benefit redesign.
  104. The Dimensionality of Social Intelligence: Social Abilities, Interests, and Needs
  105. Validity of self-ratings of abilities and competencies
  106. Occupational choice as a moderator of psychotherapeutic approach.
  107. Pseudoepileptic seizures of psychogenic origin: A review of the literature
  108. 4/The Clinical Use of Projective Techniques with the Aged: A Critical Review and Synthesis
  109. The structure and relationship of college women's primary abilities and vocational interests
  110. Ethical Practice of Psychological Consultation
  111. Should industrial/organizational psychologists be licensed?
  112. Users and “teasers”: Failure to follow through with initial mental health service inquiries in a child and family treatment center
  113. Psychometric Characteristics of a Vocational Preference Inventory Short Form
  114. Teaching Individual Differences
  115. Collaboration in Work Settings: Significant Omissions
  116. Integrating interest, ability, and personality data.
  117. Multicultural and international issues in consulting psychology.
  118. Ethical and professional standards in the practice of consulting psychology.
  119. The work of consulting psychologists.
  120. Consulting at the individual level.
  121. Consulting at the organizational level.
  122. Consulting at the group and team level.
  123. The road ahead.
  124. Case 46: Practice of I/O psychology by a clinical psychologist.
  125. Case 46. Practice of I/O Psychology by a Clinical Psychologist.
  126. Case 16. The Ethical Costs of Implementing New Technology.
  127. Case 56: Plagiarizing.
  128. Case 45: Training requirements in I/O psychology.
  129. Case 45. Training Requirements in I/O Psychology.
  130. Case 56. Plagiarizing.
-- Inserted here: crystal structures --
=====
14
Lattice="5.212 0.056 2.964 1.789 4.896 2.965 -0.001 0.001 5.928" Properties=species:S:1:pos:R:3 comment="Mg2VO4 (PBE+U, optimized geometry)" delta_e_f_mev_per_atom=-2798 m_tot_mub_per_fu=1.0 spacegroup="I4_1/amd, No. 141" pbc="T T T"
Mg 4.395 4.924 7.411
Mg 6.106 2.504 7.411
Mg 3.500 2.477 8.893
Mg 3.500 2.477 5.929
V 0.875 0.619 1.482
V 6.126 4.334 10.375
O 5.214 3.688 8.898
O 1.787 1.264 5.933
O 2.605 3.664 4.446
O 4.322 1.236 4.447
O 4.395 1.288 7.411
O 2.678 3.717 7.410
O 1.787 1.265 2.959
O 5.214 3.689 5.924


5
Lattice="-0.712 2.621 -3.394 -3.060 -2.721 -1.459 -3.004 2.150 2.291" Properties=species:S:1:pos:R:3 comment="NiAgF3 (PBE+U, optimized geometry)" delta_e_f_mev_per_atom=-899 m_tot_mub_per_fu=1.1 spacegroup="Pm-3m, No. 221" pbc="T T T"
Ni -3.388 1.025 -1.281
Ag 0.000 0.000 0.000
F -0.356 1.311 -1.697
F -1.530 -1.360 -0.729
F -1.502 1.075 1.146


14
Lattice="-2.890 -2.382 -4.577 1.877 -5.012 -2.515 -3.039 -5.037 0.602" Properties=species:S:1:pos:R:3 comment="Li2Co3TeO8 (PBE+U, optimized geometry)" delta_e_f_mev_per_atom=-1538 m_tot_mub_per_fu=11.0 spacegroup="R-3m, No. 166" pbc="T T T"
Li -3.514 -10.781 -5.627
Li -0.538 -1.651 -0.862
Co -2.965 -3.710 -1.987
Co -0.506 -3.697 -3.546
Co -0.581 -5.025 -0.956
Te -2.026 -6.216 -3.245
O -2.964 -9.093 -4.746
O -1.672 -8.075 -2.701
O -1.604 -6.869 -5.054
O -3.838 -6.880 -3.637
O -0.215 -5.551 -2.852
O -2.448 -5.562 -1.435
O -2.380 -4.356 -3.788
O -1.088 -3.339 -1.743


64
Lattice="6.251 -6.343 0.000 6.251 6.343 0.000 0.000 0.000 12.963" Properties=species:S:1:pos:R:3 comment="Mn5Cu3Te16O40 (PBE+U, optimized geometry)" delta_e_f_mev_per_atom=-1550 m_tot_mub_per_fu=6.0 spacegroup="C222, No. 21" pbc="T T T"
Mn 6.251 0.000 3.250
Mn 0.000 0.000 3.249
Mn 0.000 0.000 9.714
Mn 6.251 0.000 9.713
Mn 6.251 0.000 0.000
Cu 0.000 0.000 0.000
Cu 0.000 0.000 6.481
Cu 6.251 0.000 6.481
Te 9.569 0.662 11.241
Te 5.606 2.992 11.230
Te 6.896 -2.992 11.230
Te 2.933 -0.662 11.241
Te 9.180 0.663 4.768
Te 5.602 3.379 4.771
Te 6.900 -3.379 4.771
Te 3.322 -0.663 4.768
Te 9.180 -0.663 8.195
Te 6.900 3.379 8.192
Te 5.602 -3.379 8.192
Te 3.322 0.663 8.195
Te 9.569 -0.662 1.722
Te 6.896 2.992 1.733
Te 5.606 -2.992 1.733
Te 2.933 0.662 1.722
O 8.471 -0.647 10.349
O 6.893 4.107 10.333
O 5.608 -4.107 10.333
O 4.031 0.647 10.349
O 10.270 -0.647 3.861
O 6.905 2.280 3.879
O 5.597 -2.280 3.879
O 2.232 0.647 3.861
O 10.270 0.647 9.102
O 5.597 2.280 9.084
O 6.905 -2.280 9.084
O 2.232 -0.647 9.102
O 8.471 0.647 2.614
O 5.608 4.107 2.630
O 6.893 -4.107 2.630
O 4.031 -0.647 2.614
O 5.838 -1.423 11.440
O 1.347 0.382 11.516
O 11.155 -0.382 11.516
O 6.664 1.423 11.440
O 6.629 4.984 5.031
O 7.588 -0.377 5.027
O 4.914 0.377 5.027
O 5.873 -4.984 5.031
O 6.629 -4.984 7.932
O 4.914 -0.377 7.935
O 7.588 0.377 7.935
O 5.873 4.984 7.932
O 5.838 1.423 1.523
O 11.155 0.382 1.447
O 1.347 -0.382 1.447
O 6.664 -1.423 1.523
O 6.251 3.787 0.000
O 8.710 0.000 0.000
O 3.792 0.000 0.000
O 6.251 -3.787 0.000
O 6.251 -2.561 6.481
O 2.514 0.000 6.481
=====
-- Back to the article --
  131. Case 35: Research responsibilities.
  132. Case 14: Layoff Notifications.
  133. Case 1: Assessment Techniques.
  134. Case 40: Publication credit.
  135. Case 57: Evaluating colleagues' competencies.
  136. Case 51: Making public statements.
  137. Case 35. Research Responsibilities.
  138. Case 61: When romance fails.
  139. Case 14. Layoff Notifications.
  140. Case 32: Avoiding Dual Relationships.
  141. Case 3: Test Validation Strategies.
  142. Internationalizing multiculturalism: Major themes and wrapping up.
  143. Ethical Issues in Psychological Consultation
  144. The clinical assessment of vocational interests.
  145. Introduction.
  146. Abilities.
  147. Measuring personal characteristics.
  148. Client feedback and report preparation.